• To do:
Next, count the lines below that contain the word "P4" and give the number alone.

• Input:
<<<
Density functional theory data (GGA-PBE) for an optimized crystal structure of Hf2PIr2.

Results
- uncorrected energy (eV/cell) = -92.00
- ΔE_f (meV per atom) = -592
- DOS(E_F) (states/eV per cell) = 3.81

a = 7.590 Å, b = 7.590 Å, c = 3.132 Å
α = 90.00°, β = 90.00°, γ = 90.00°
Space group P4/mbm (No. 127)
Symmetry-distinct sites (fractional):
1 Hf 0.162 0.338 0.000
2 P 0.000 0.000 0.500
3 Ir 0.133 0.633 0.500

=====

Density functional theory data (GGA-PBE) for an optimized crystal structure of TiBe17Ru.

Results
- uncorrected energy (eV/cell) = -252.44
- ΔE_f (meV per atom) = -191
- DOS(E_F) (states/eV per cell) = 10.89

a = 7.2812 Å, b = 7.2812 Å, c = 10.6286 Å
α = 90.00°, β = 90.00°, γ = 120.00°
Space group R3m (No. 160, hexagonal axes)
Symmetry-distinct sites (fractional):
1 Ti 0.0000 0.0000 0.0000
2 Be 0.0000 0.0000 0.5585
3 Be 0.0000 0.0000 0.7584
4 Be 0.0352 0.3641 0.3275
5 Be 0.1685 0.3371 0.1450
6 Be 0.1712 0.3423 0.4962
7 Be 0.1733 0.3466 0.8391
8 Ru 0.0000 0.0000 0.3256

=====

Density functional theory data (GGA-PBE) for an optimized crystal structure of RbAg2RuO.

Results
- uncorrected energy (eV/cell) = -16.96
- DOS(E_F) (states/eV per cell) = 4.66
- formation energy without anion corrections (eV per atom) = 0.79

a = 4.488 Å, b = 4.488 Å, c = 5.234 Å
α = 90.00°, β = 90.00°, γ = 90.00°
Space group P4/mmm (No. 123)
Symmetry-distinct sites (fractional):
1 Rb 0.000 0.000 0.000
2 Ag 0.000 0.500 0.500
3 Ru 0.500 0.500 0.000
4 O 0.000 0.000 0.500

=====

Density functional theory data (GGA-PBE) for an optimized crystal structure of Na2HfCo2.

Results
- uncorrected energy (eV/cell) = -43.12
- ΔE_f (meV per atom) = 1049
- energy above the lowest structure with this stoichiometry (meV/atom) = 189
- DOS(E_F) (states/eV per cell) = 6.84

a = 4.561 Å, b = 4.561 Å, c = 8.012 Å
α = 90.00°, β = 90.00°, γ = 90.00°
Space group I4/mmm (No. 139)
Symmetry-distinct sites (fractional):
1 Na 0.000 0.000 0.129
2 Hf 0.000 0.000 0.500
3 Co 0.000 0.500 0.250

=====

Density functional theory data (GGA-PBE) for an optimized crystal structure of NaTh4Te8.

Results
- uncorrected energy (eV/cell) = -141.79
- DOS(E_F) (states/eV per cell) = 13.92
- formation energy without anion corrections (eV per atom) = -1.14

a = 15.472 Å, b = 8.945 Å, c = 10.974 Å
α = 90.00°, β = 134.29°, γ = 90.00°
Space group C2/m (No. 12)
Symmetry-distinct sites (fractional):
1 Na 0.000 0.000 0.000
2 Th 0.000 0.253 0.500
3 Th 0.243 0.500 0.487
4 Te 0.027 0.000 0.726
5 Te 0.036 0.500 0.737
6 Te 0.218 0.244 0.267

=====

Density functional theory data (GGA-PBE) for an optimized crystal structure of AcPmReO6.

Results
- uncorrected energy (eV/cell) = -74.20
- DOS(E_F) (states/eV per cell) = 5.34
- formation energy without anion corrections (eV per atom) = -2.57

a = 5.6789 Å, b = 5.6789 Å, c = 5.2260 Å
α = 90.00°, β = 90.00°, γ = 120.00°
Space group P312 (No. 149)
Symmetry-distinct sites (fractional):
1 Ac 0.0000 0.0000 0.0000
2 Pm 0.3333 0.6667 0.5000
3 Re 0.6667 0.3333 0.5000
4 O 0.3844 0.0505 0.7122

=====

Density functional theory data (GGA-PBE) for an optimized crystal structure of In3Te5.

Results
- uncorrected energy (eV/cell) = -49.28
- energy above the lowest structure with this stoichiometry (meV/atom) = 0
- DOS(E_F) (states/eV per cell) = 9.01
- formation energy without anion corrections (eV per atom) = -0.09

a = 7.433 Å, b = 7.978 Å, c = 9.510 Å
α = 90.00°, β = 104.02°, γ = 90.00°
Space group P2_1/m (No. 11)
Symmetry-distinct sites (fractional):
1 In 0.001 0.250 0.485
2 In 0.221 0.750 0.097
3 In 0.485 0.750 0.554
4 Te 0.197 0.250 0.014
5 Te 0.217 0.508 0.362
6 Te 0.299 0.750 0.783
7 Te 0.330 0.250 0.769

=====

Density functional theory data (GGA-PBE) for an optimized crystal structure of MgCrIn2.

Results
- uncorrected energy (eV/cell) = -15.93
- ΔE_f (meV per atom) = 190
- DOS(E_F) (states/eV per cell) = 1.94

a = 3.234 Å, b = 4.963 Å, c = 5.181 Å
α = 90.00°, β = 90.00°, γ = 90.00°
Space group Pmm2 (No. 25)
Symmetry-distinct sites (fractional):
>>>

• Solution:
2